University of Illinois at Urbana-Champaign Top Questions

Describe the students at University of Illinois at Urbana-Champaign.


As a resident advisor, been exposed to all walks of life. From greatest to least, our demographics go like this: White, Asian/Pacific Island, Black, Hispanic, Native American, "other." That's not to say that you'll never, ever see certain people. We're all a part of one big campus community, and you'll undoubtedly encounter people who look nothing like you. We're a very diverse campus, and this stems further than skin color. There are also members of the LGBTQ community, various religious followings, socioeconomic status and physical abilities. Our campus leaves no one out. I can say that confidently because there are so many groups dedicated to including minority students. For example, we have an organization that is designed to assist students with disabilities and we're one of the leading handicap accessible universities. U of I has pioneered disabilities research and development for decades and have made great strides for that community. There are also cultural houses that educate campus on minority student affairs; they are very inviting and urge students to visit and step outside their comfort zones. In addition, there is a strong partnership with LGTBQ students. Many campus organizations, along with University housing educate students rather than scare them with things they don't know. For example, I had a resident ask me where they could go to feel safe if someone didn't like the fact that he was gay. I was disheartened, but felt empowered to throw a program for my building that basically dispelled myths about gay men. He felt so much more comfortable with his sexuality, and U of I wants that for every member of the community. We aim to treat everyone fairly. As mentioned in an earlier post, we've even gotten rid of our mascot because of its offensive nature. Overall, you'll see a new face every day. With more than 40,000 students, that's not impossible to realize. The point is, you'll encounter individuals that are different from you in many ways, but we're accepting of who you are, no matter what. Our campus embraces diversity, and whether or not that's what you want to do, you learn respect others in the process. Everyone here is a potential friend, and small friendships go a long way in college.


For a school smack-dab in the middle of the Midwest, and all the stereotypes that that might carry, UIUC is a really diverse school. As anyone who's been here can tell you, there's lots of Asians... more than you'd expect- and as a result there's a lot of coming together of cultures, from the Japan House's tea ceremonies to all the Korean-friendly church services to all the cultural houses (Latino/a, Women's Studies, Asian-American Cultural Center, ect...) and a very strong LGBT presence, with groups and events aplenty for the LGBT community and its allies. Due to the school's size, there's a significant number of every different ethnicity, religion, and so on on campus, so no one's really out of place. It's just a matter of going out and finding a place to settle into. Again, the school is really balanced, so things like liberal-conservative, rich-poor, rural-urban all end up pretty varied. And so the things students wear and do are pretty equally varied too, from flannel and blue jeans to Amercrombie and Fitch, and an ocean of black Northface coats when winter hits. The number of Chicago kids might push it a bit more towards urban, but maybe that's just my opinion. No one's really worried about what they'll make someday, because a degree from U of I means a fair amount of money to most of us- unless you got it in something crazy like creative writing. People talk about classes, what's going on on Green Street that night, and just whatever's happening in the world.


I don't think there's any sort of mold for Illinois. It's so diverse with people coming from all different sides of the U.S. and the world. It's quite refreshing, especially since I come from the suburbs of Chicago. There isn't a huge gay and lesbian scene on campus, but there definitely are some that are open and proud about their sexuality.


A "regular" student's day at U of I goes as follows: First, you wake up, after possibly hitting the snooze button a few times, and get dressed. The average student usually dresses pretty casual for class, wearing anything from jeans and a sweater to pajama pants and a t-shirt.Then you might grab a bite to eat on your way to your class. Depending on how chilly it is, maybe catch a bus to your class, sit through some lectures and head home after class. Usually a student might work on some homework or study a bit before the evening plans begin. The evening may consist of meeting up with friends for dinner, hanging out at a friend's apartment or dorm, or simply watching a movie in your room. People make friends pretty easily around here, whether you just knock on your neighbors door or choose to join a fraternity or sorority on campus. It's not always about academics here, we want to have some fun, too! There are plenty of International students at the U of I who tend to keep to themselves usually, but it's great getting to know them and finding out how different your life may be from others. Most student's goal here is to learn and have fun along the way. We know when it's crunch time and when its time to have fun.


One of the great things about U of I is it really is a pretty diverse campus, in terms of interests and groups. You can find a club for everything here - singing, rugby, sword fighting - you name it, we have it. Students tend to flock towards people similar to them, but if your interests overlap with that of someone completely different from you in other ways, it makes for an interesting group meeting. One thing I never saw a lot of here was openly religious gatherings or groups. I would be willing to bet they exist, but you don't hear a lot about them - they don't gather on the quad in big displays or wear t-shirts proclaiming what they're about. Given that the campus is so big (with over 40,000 students) it's possible that they are vocal - I just never saw it. Dressing up for class is something that, in general, students just don't do here. Most wear sweatpants, sweatshirts, jeans and t-shirts to class. I've even been in lectures where a student has walked in wearing a pair of boxers and a t-shirt. Not boxers like pajama shorts...boxers like his underwear. It can be a good thing- if you're running late and show up to class in pajamas, no one will give you a second glance. And there is a happy medium - plenty of people are walking around campus right now in cute boots, jeans, sweaters and peacoats and no one thinks they're "overdressed".


There are over 50,000 students at the U of I. Each one has there own distinctive look and style. Some come from middle class to lower class families. Many share similar politcally views....but at the end of the day....we're all students. Aiming to make our mark in society. And this is why I choose U of I. It's a place where you can grow and learn from that group of 50,000. A place where you can share your thoughts and opinons and be who you are.


A large number of students are white and from the Chicago suburbs. However, there is a large international student population and the school is also public. There are about 40,000 students total here, so you can meet new people you wouldn't meet otherwise. I live just outside of Chicago and my freshman year roommate was from New Dehli, India, which was very cool. There is a LGBT community and political activist do exist. They do not make up the majority. Many students are relatively well off but not all. There is a decent amount of mingling between races, ethnicities, etc. Political ties are about 50/50, I believe.


I don’t think one can collectively describe all students at this university. We have a student body that comes from a wide range of countries, religions, and backgrounds. I have friends who come from my hometown, and I have friends who come from countries thousands of miles away from me. That’s what keeps things interesting isn’t it? I love learning about people from cultures that are different than mine.

_Between two parts of the entry: calculated crystals_
~~~
1.
Structure and computed PXRD pattern of MgZn6 (a PBE-relaxed structure; Cu Kα (weighted mean of Kα1 and Kα2)).
Lines closer than 0.1° are merged.

Principal peaks in the range 10 to 90 degrees two-theta, in order of rising 2θ:
Position (°2θ)  I/Imax
22.85  22
32.54  18
40.14  100
46.68  48
52.59  9
58.06  6
68.16  29
72.93  4
82.15  33
86.67  10

```
data_MgZn6
_chemical_formula_sum 'Mg4 Zn24'
_space_group_name_H-M_alt 'F m -3 m'
_space_group_IT_number 225
_space_group_name_Hall '-F 4 2 3'
_cell_length_a 7.783
_cell_length_b 7.783
_cell_length_c 7.783
_cell_angle_alpha 90.00
_cell_angle_beta 90.00
_cell_angle_gamma 90.00
loop_
_atom_site_label
_atom_site_fract_x
_atom_site_fract_y
_atom_site_fract_z
Mg1 0.000 0.000 0.000
Zn1 0.000 0.250 0.250
```


2.
Structure and computed PXRD pattern of BaZn2PtAu (a PBE-relaxed structure; Cu Kα (weighted mean of Kα1 and Kα2)).
Lines closer than 0.1° are merged.

Principal peaks in the range 10 to 90 degrees two-theta, in order of rising 2θ:
Position (°2θ)  I/Imax
21.38  30
28.26  54
31.00  100
32.45  41
40.40  66
42.87  40
44.82  37
51.77  48
58.46  22
61.91  29

```
data_BaZn2PtAu
_chemical_formula_sum 'Ba2 Zn4 Pt2 Au2'
_space_group_name_H-M_alt 'I 4 m m'
_space_group_IT_number 107
_space_group_name_Hall 'I 4 -2'
_cell_length_a 4.466
_cell_length_b 4.466
_cell_length_c 11.340
_cell_angle_alpha 90.00
_cell_angle_beta 90.00
_cell_angle_gamma 90.00
loop_
_atom_site_label
_atom_site_fract_x
_atom_site_fract_y
_atom_site_fract_z
Ba1 0.000 0.000 0.000
Zn1 0.000 0.500 0.242
Pt1 0.000 0.000 0.627
Au1 0.000 0.000 0.377
```


3.
Structure and computed PXRD pattern of Na4SbIrO6 (a PBE-relaxed structure; Cu Kα (weighted mean of Kα1 and Kα2)).
Lines closer than 0.1° are merged.

Principal peaks in the range 10 to 90 degrees two-theta, in order of rising 2θ:
Position (°2θ)  I/Imax
16.76  98
18.75  21
19.57  37
21.83  29
33.25  44
33.91  30
34.70  59
40.05  100
57.38  31
58.47  30

```
data_Na4SbIrO6
_chemical_formula_sum 'Na8 Sb2 Ir2 O12'
_space_group_name_H-M_alt 'C 1 2 1'
_space_group_IT_number 5
_cell_length_a 5.472
_cell_length_b 9.464
_cell_length_c 5.600
_cell_angle_alpha 90.00
_cell_angle_beta 109.13
_cell_angle_gamma 90.00
loop_
_space_group_symop_operation_xyz
'x,y,z'
'-x,y,-z'
'x+1/2,y+1/2,z'
'-x+1/2,y+1/2,-z'
loop_
_atom_site_label
_atom_site_fract_x
_atom_site_fract_y
_atom_site_fract_z
Na1 0.000 0.000 0.000
Na2 0.000 0.156 0.500
Na3 0.000 0.510 0.500
Na4 0.000 0.840 0.500
Sb1 0.000 0.333 0.000
Ir1 0.000 0.668 0.000
O1 0.210 0.497 0.212
O2 0.241 0.321 0.787
O3 0.247 0.184 0.212
```

=====
~~~
_The entry goes on_


Within the community I am having the opportunity to see that there are various communities that promote a welcoming environment. I love how we have small communities within this whole large college community. Each student has the opportunity to have choices given to them that makes this place fit for them. The way people dress is up to every person and not everyone is not the same. The way we all interact is something that varies within every person.


A good way to describe students here at Illinois is driven. We all want to achieve great things in our lives and be successful. We also know this goal is attainable because we are getting an education from the U of I and it has been proved time and again that an education from the U of I can get you places. The creators of YouTube, the most acclaimed film critic of our time, and the CEO's of companies around the world, including McDonald's, all graduated from Illinois. So being a nerd here is embraced by all. Students are really friendly and interact all the time. When you have students from Germany, Turkey, China, and England, just to name a few, you want to ask and learn about these other cultures, especially when they're sitting across the dining hall table from you. Meeting people is a whole other adventure here at school. Everyone is really accepting of people of all races, social backgrounds, sexual orientation, and anything else you can think of, which is a really wonderful characteristic of this school that many are unaware about. There are clubs and organizations that promote all types of interests any student may have as well and all students embrace it. On the quad, there's always a club promoting pizza slices to support their group, or a group of students in a drum circle playing instruments from their home country. It is really beautiful. Most students here at Illinois seem to come from wealthy backgrounds, but I think that comes with the territory of being able to afford a $30,000 tuition. However, I have met so many students, myself included, that are here on a full scholarship, or partial scholarship and who without it would probably not be able to attend college. That's another great thing about Illinois is that they offer so much scholarship money and help for students to be able to earn their college degree. Sometimes in high school I would be embarrassed at the thought of financial assistance, but in college, the more you can get, the more people wish they could get the same as you- which is really nice. If there were four tables of students in the dining hall, and I am choosing 4 totally different tables, I am guessing one table would be a group of oriental students from the region of Asia. Another table would probably be a table of guys who all met each other from being in the same dorm. Another table would be girls from the same floor. And the final table would be a mix of students who just met, boys and girls, and who are getting to know each other. I have slowly seen as the year has gone on that these lines have blurred and people sit together to learn about one another and make new friends. It's really easy here and you can probably never have to go a meal without eating with a friend, new or old, at any time of the day.